== What to do ==
Give back everything underneath with every line break kept.

== Contents ==
~~~
Structure and simulated powder diffractogram of BaHoTm4Se8 (the PBE geometry in Alexandria; Cu Kα, 1.54184 Å).

Top 10 peaks for 10 to 80 degrees two-theta, low angle first:
| 2θ (°) | I_rel |
| --- | --- |
| 12.7 | 22 |
| 20.8 | 28 |
| 24.5 | 100 |
| 29.6 | 54 |
| 38.7 | 16 |
| 38.8 | 44 |
| 42.3 | 51 |
| 42.5 | 51 |
| 61.5 | 15 |
| 77.6 | 22 |

Crystal structure
Lattice parameters (Å, degrees): 8.542 8.542 8.542 59.79 59.79 59.79
Fractional positions:
Ba 0.000 0.000 0.000
Ho 0.628 0.628 0.628
Tm 0.121 0.627 0.627
Tm 0.251 0.251 0.251
Tm 0.627 0.121 0.627
Tm 0.627 0.627 0.121
Se 0.382 0.382 0.855
Se 0.382 0.855 0.382
Se 0.383 0.383 0.383
Se 0.429 0.860 0.860
Se 0.855 0.382 0.382
Se 0.858 0.858 0.858
Se 0.860 0.429 0.860
Se 0.860 0.860 0.429
~~~

== Result ==
Structure and simulated powder diffractogram of BaHoTm4Se8 (the PBE geometry in Alexandria; Cu Kα, 1.54184 Å).

Top 10 peaks for 10 to 80 degrees two-theta, low angle first:
| 2θ (°) | I_rel |
| --- | --- |
| 12.7 | 22 |
| 20.8 | 28 |
| 24.5 | 100 |
| 29.6 | 54 |
| 38.7 | 16 |
| 38.8 | 44 |
| 42.3 | 51 |
| 42.5 | 51 |
| 61.5 | 15 |
| 77.6 | 22 |

Crystal structure
Lattice parameters (Å, degrees): 8.542 8.542 8.542 59.79 59.79 59.79
Fractional positions:
Ba 0.000 0.000 0.000
Ho 0.628 0.628 0.628
Tm 0.121 0.627 0.627
Tm 0.251 0.251 0.251
Tm 0.627 0.121 0.627
Tm 0.627 0.627 0.121
Se 0.382 0.382 0.855
Se 0.382 0.855 0.382
Se 0.383 0.383 0.383
Se 0.429 0.860 0.860
Se 0.855 0.382 0.382
Se 0.858 0.858 0.858
Se 0.860 0.429 0.860
Se 0.860 0.860 0.429